# Material
-- begin --
The following is a PBE-GGA calculation of crystalline MoWSeN2 at its relaxed geometry, from Alexandria via LeMat-Bulk. Values from VASP.

Properties
E above lowest polymorph = 0.00 kJ/mol of atoms
Crystal system = tetragonal
ΔE_f (raw) = 0.75 eV/atom

```
&SYSTEM
  ibrav = 0, nat = 5, ntyp = 4
/
ATOMIC_SPECIES
Mo 95.94 Mo.upf
W 183.84 W.upf
Se 78.96 Se.upf
N 14.01 N.upf
CELL_PARAMETERS angstrom
3.914 0.000 0.000
0.000 3.914 0.000
0.000 0.000 5.300
ATOMIC_POSITIONS angstrom
Mo 0.000 0.000 0.000
W 1.957 1.957 2.650
Se 1.957 1.957 0.000
N 0.000 1.957 2.650
N 1.957 0.000 2.650
```

=====

# Cs2NaW2O7

A geometry-optimized Cs2NaW2O7 structure (PBE+U, Alexandria via LeMat-Bulk).

Unit cell a=4.002 b=4.002 c=12.584 alpha=99.10 beta=99.10 gamma=90.00
Fractional positions:
Cs  0.184  0.184  0.370
Cs  0.816  0.816  0.630
Na  0.000  0.000  0.000
W  0.419  0.419  0.837
W  0.581  0.581  0.163
O  0.077  0.577  0.156
O  0.343  0.343  0.685
O  0.423  0.923  0.844
O  0.500  0.500  0.000
O  0.577  0.077  0.156
O  0.657  0.657  0.315
O  0.923  0.423  0.844

Calculated values
space group = C2/m (12)
VASP energy = -6.294 eV per atom
total magnetization = 0.0 μB per cell
-- stop --

# Brief
Now return all of the notes earlier on without altering anything.

# Written answer
The following is a PBE-GGA calculation of crystalline MoWSeN2 at its relaxed geometry, from Alexandria via LeMat-Bulk. Values from VASP.

Properties
E above lowest polymorph = 0.00 kJ/mol of atoms
Crystal system = tetragonal
ΔE_f (raw) = 0.75 eV/atom

```
&SYSTEM
  ibrav = 0, nat = 5, ntyp = 4
/
ATOMIC_SPECIES
Mo 95.94 Mo.upf
W 183.84 W.upf
Se 78.96 Se.upf
N 14.01 N.upf
CELL_PARAMETERS angstrom
3.914 0.000 0.000
0.000 3.914 0.000
0.000 0.000 5.300
ATOMIC_POSITIONS angstrom
Mo 0.000 0.000 0.000
W 1.957 1.957 2.650
Se 1.957 1.957 0.000
N 0.000 1.957 2.650
N 1.957 0.000 2.650
```

=====

# Cs2NaW2O7

A geometry-optimized Cs2NaW2O7 structure (PBE+U, Alexandria via LeMat-Bulk).

Unit cell a=4.002 b=4.002 c=12.584 alpha=99.10 beta=99.10 gamma=90.00
Fractional positions:
Cs  0.184  0.184  0.370
Cs  0.816  0.816  0.630
Na  0.000  0.000  0.000
W  0.419  0.419  0.837
W  0.581  0.581  0.163
O  0.077  0.577  0.156
O  0.343  0.343  0.685
O  0.423  0.923  0.844
O  0.500  0.500  0.000
O  0.577  0.077  0.156
O  0.657  0.657  0.315
O  0.923  0.423  0.844

Calculated values
space group = C2/m (12)
VASP energy = -6.294 eV per atom
total magnetization = 0.0 μB per cell